Conservatives In The Mist
== These quantum chemistry results were left in the text by mistake ==
~~~
(1)
Formula: C56H46N7O2SeSiW
Source: OMol25
Level of theory: the ωB97M-V functional and the def2-TZVPD basis

Each line ends with the Mulliken charge.
CARTESIAN COORDINATES (ANGSTROEM)
W  0.244  -0.305  0.099  0.79
C  2.077  2.694  -0.593  -0.50
C  2.847  1.499  -1.046  0.80
C  4.148  1.651  -1.493  -1.02
C  4.888  0.530  -1.863  -1.03
C  4.268  -0.697  -1.850  -1.11
C  2.925  -0.787  -1.465  0.54
N  2.226  0.298  -1.013  0.77
C  2.134  -1.989  -1.588  0.48
C  2.532  -3.104  -2.305  -0.67
C  1.610  -4.102  -2.618  -1.64
C  0.301  -3.934  -2.228  -0.72
C  -0.075  -2.833  -1.449  0.42
N  0.855  -1.865  -1.047  1.21
C  -1.388  -2.570  -0.983  1.52
C  -2.371  -3.622  -0.901  -1.53
C  -3.498  -3.467  -0.203  -1.64
C  -3.859  -2.157  0.376  -0.24
C  -2.808  -1.029  0.215  -0.56
C  -3.455  0.204  -0.419  -1.48
N  -1.536  -1.358  -0.413  0.77
H  2.742  3.540  -0.439  0.84
H  1.569  2.491  0.355  -0.22
H  1.337  2.970  -1.347  -0.44
H  4.590  2.634  -1.539  0.59
H  5.919  0.629  -2.163  0.51
H  4.805  -1.582  -2.144  0.52
H  3.537  -3.180  -2.681  0.49
H  1.905  -4.966  -3.191  0.49
H  -0.454  -4.636  -2.534  0.61
H  -2.122  -4.574  -1.335  0.28
H  -4.185  -4.284  -0.054  0.49
H  -4.843  -1.867  -0.007  0.77
H  -4.436  0.354  0.027  0.67
H  -3.584  0.051  -1.491  0.35
H  -2.879  1.109  -0.246  -0.08
C  2.412  3.918  -7.287  -0.93
O  2.391  4.021  -5.881  -0.41
C  1.286  4.510  -5.274  0.85
C  0.097  4.862  -5.914  -0.54
C  -0.972  5.325  -5.176  -0.32
C  -0.906  5.396  -3.782  -0.71
C  0.310  5.093  -3.149  0.28
C  1.385  4.663  -3.884  -0.62
N  -2.036  5.807  -3.105  -0.63
N  -2.342  5.430  -1.968  -0.38
C  -1.885  4.368  -1.265  -0.26
C  -1.808  4.496  0.134  -0.62
C  -1.333  3.486  0.940  -1.10
C  -0.892  2.295  0.350  0.77
O  -0.401  1.230  0.981  -0.48
C  -0.992  2.117  -1.045  -0.33
N  -0.546  0.897  -1.490  0.56
C  -0.782  0.602  -2.787  -0.14
C  -1.469  1.455  -3.625  -1.87
C  -1.876  2.713  -3.188  -0.95
C  -1.580  3.101  -1.875  1.45
H  3.402  3.542  -7.537  0.24
H  2.266  4.892  -7.758  0.38
H  1.655  3.216  -7.648  0.36
H  0.002  4.779  -6.985  0.47
H  -1.898  5.587  -5.664  0.51
H  0.404  5.236  -2.081  0.49
H  2.330  4.434  -3.414  0.51
H  -2.093  5.442  0.565  0.56
H  -1.267  3.602  2.009  0.64
H  -0.422  -0.361  -3.137  0.56
H  -1.680  1.147  -4.636  0.56
H  -2.433  3.356  -3.850  0.85
C  -5.205  -0.240  2.930  -0.94
C  -4.105  0.698  2.885  -0.94
C  -2.920  0.360  2.369  -1.82
C  -2.644  -0.969  1.766  3.14
C  -3.786  -2.007  1.916  0.46
C  -5.056  -1.497  2.510  -1.37
Si  -0.783  -1.595  2.104  0.24
C  -0.245  -1.170  3.892  1.16
C  -0.840  -0.216  4.709  -0.63
C  -0.291  0.109  5.937  -0.94
C  0.866  -0.513  6.368  -0.83
C  1.459  -1.485  5.579  -0.51
C  0.906  -1.810  4.358  -0.79
C  -0.899  -3.504  2.300  0.88
C  -1.671  -3.967  3.366  -0.84
C  -1.876  -5.317  3.574  -0.78
C  -1.297  -6.243  2.723  -0.87
C  -0.495  -5.806  1.682  -0.56
C  -0.293  -4.449  1.480  -0.05
H  -6.145  0.096  3.342  0.44
H  -4.271  1.685  3.290  0.53
~~~
== Back to the text ==
As conservatives spend lots of time and energy defining and redefining conservatism, leftists do no such thing. They’re uninterested in self-examination. It’s one reason why they’ve racked up win after win.
— Mark Bauerlein (@mark_bauerlein) June 1, 2022
I think this is generally true, but it’s true in a way that I don’t think the Right can do much about. Here’s why.
The Left in theory wants many different things, but the thing they want above all is the Current Thing. The Left is driven by the Myth of Progress. As Kundera observed, anything that can be made to join the Grand March of Progress, the Left can and will embrace. You would think that there would be a real fight among the ranks of the Left over whether or not class politics are more important than identity politics (i.e., race and SOGI), but there’s really not. Identity politics will win every time within the Left today.
This alienates a lot of voters who would be interested in some form of left-wing economic policies, but who don’t want the pink-haired, pierced weirdo teaching their first graders that men can have babies and white people are wicked. The Left doesn’t care. Or rather: the people who set the agenda in left-wing institutions don’t care. The Educated Race Radicals and the Alphabet People are their constituents, not the workers.
Ezra Klein is a certain kind of thoughtful, earnest left-liberal wonk who writes essays like, “What American Needs Is A Liberalism That Builds.” Okay. It contains passages like this:
I am unabashedly sympathetic to this vision. In a series of columns over the past year, I’ve argued that we need a liberalism that builds. Scratch the failures of modern Democratic governance, particularly in blue states, and you’ll typically find that the market didn’t provide what we needed and government either didn’t step in or made the problem worse through neglect or overregulation.
We need to build more homes, trains, clean energy, research centers, disease surveillance. And we need to do it faster and cheaper. At the national level, much can be blamed on Republican obstruction and the filibuster. But that’s not always true in New York or California or Oregon. It is too slow and too costly to build even where Republicans are weak — perhaps especially where they are weak.
This is where the liberal vision too often averts its gaze. If anything, the critiques made of public action a generation ago have more force today. Do we have a government capable of building? The answer, too often, is no. What we have is a government that is extremely good at making building difficult.
And so forth. It’s an intelligent, substantive point. But you want to say, “Dude, your side wants to cut the balls off of little boys, and train children to hate white people.” That’s a crude way of putting it, but the point is that technocratic liberals (both left-liberals and right-liberals) have a very difficult time wrapping their minds around the significance of cultural matters. I’ve been on Ezra Klein’s show before, and he makes a serious effort to understand, at least I think he does. But he is left baffled by social and cultural conservatism. It’s hard for me to account for this blindness. Most thoughtful conservatives I know well understand why liberals and progressives see the world the way they do, even if we disagree with them. But to the other side, it’s all Conservatives In The Mist.
Here’s another example: a review in the Financial Times (subscriber-only) of new books warning that the US is headed for another civil war. It’s an interesting piece, but the reviewer only looks at forces from the Right that are fragmenting the US. Fair enough — there clearly are right-wing forces at work in this process — but not once does the reviewer consider the role left-wing identity politics and its offshoots play in the dynamic. It’s an astonishing oversight — but a telling one, because it reveals how the neoliberal ruling class (and the FT is certainly a newspaper of the neoliberal ruling class) sees the world.
So, back to Mark Bauerlein’s original point: that the Right ties itself up in knots trying to figure out what conservatism means, while the Left goes from victory to victory. The Left has made its peace with neoliberal capitalism, and focuses instead on cultural revolution — which has been embraced by capitalists, hence “woke capitalism,” hitching the cultural revolution to the most revolutionary force in history, capitalism. (It has been argued that capitalists, recognizing the threat from the sentiment behind Occupy Wall Street, realized that embracing cultural progressivism was a way to short-circuit socialism.) The Left doesn’t really have to worry too much about what it means to be Left, because the answer is always: further destruction of tradition (especially religion), hedonism, and the consolidation of power within institutions (public and private) that guarantee hedonic individualism, even if it costs us certain political liberties. This is what James Poulos means by the Pink Police State: yes to 126 genders and legalized pot, but no to free speech and religious liberty.
But the Right? Which Right? What do we want to conserve? Or do we want to conserve anything? Not all right-wingers are conservatives, remember. Fascism was a Modernist movement of the Right, after all. Is conservatism to be nothing more than “whatever liberalism wants, just slower”? Go to the National Conservatism conferences, and you’ll understand why factions on the Right are struggling to figure this out. How are you going to bring people like, say, the Catholic integralists into the same movement as gay conservatives? Is the movement big enough for Sohrab Ahmari and Douglas Murray? It had better be — the antiwoke Right is too weak against the institutional power of the cultural Left — but it’s hard to see what unites the Right today other than opposing wokeness. That might be enough to bring politicians of the Right to power, but we are going to have to articulate a positive and unifying vision if we are going to deserve power.
This discussion must seem absurd to people on the Left, who are about to see Roe overturned, and who may be looking at a staggering political defeat this November. The great advantage the Left has enjoyed is that Conservatism, Inc., largely exists to subsidize grifters, carnival barkers, and those billionaires who cannot yet incorporate themselves into the Democratic coalition. The American right, as shown during the Trump administration, has little interest in taking on the Left’s monopoly on key credentialing organs or holding them accountable, with the result being that the majority of our non-hereditary aristocracy align with the Left on every issue of question either sincerely or through manufactured consent and enforced conformity. A Trump restoration in 2024 will be just as ineffective, and a lot of conservatives will make a lot of money grifting and shitposting but the outcome won’t change.
This is why I keep going on about the positive future of the American Right being some form of what Viktor Orban and other populist European politicians are doing. We need an American Reagan to Orban’s Thatcher. That is, we need a right-wing leader who has an actual vision of where he wants to take the nation (and of what the nation is), and who is not afraid to use power to realize that vision — even if it pisses off globalists, capitalists, and left-wing institutionalists. Western media simply couldn’t grasp that Viktor Orban is a truly popular politician for much the same reason that the FT reviewer is blind to the role left-wing cultural politics are helping to drive America towards civil war. Orbanism is a good example of what Yoram Hazony means by national conservatism. It’s culturally conservative, but not in an ideological way, and believes the power of the state should be used to shore up the natural family, and the common good as defined by traditions and interests of the particular nation. (That is to say, Hungarian national conservatism will be particular to Hungary; US national conservatism will look different.)
Put another way, we need a Right that will no longer defer to whatever Big Business wants; that has an economic vision that works to support families, and family formation; that will use the state to aggressively push back on woke institutions, including credentialing ones, to defend the liberties of dissenters, and their right to exist in these institutions; and that will be more committed to nationalism abroad and localism (federalism) at home. We need a Right that looks at Davos, and says: these people are our enemies.
Inserted here: quantum chemistry results.
# 1
This record from the Open Molecules 2025 dataset describes a 7-piece molecular cluster, C20H57N3O7 overall in a non-equilibrium geometry. The level of theory is wB97M-V/def2-TZVPD.

Structure (XYZ):
```
87
Properties=species:S:1:pos:R:3:forces:R:3:mulliken_charge:R:1
C 1.40771 5.13370 0.65127 0.82 0.32 0.34 -0.4137
O 0.21980 5.88946 0.72002 0.24 -0.09 -0.07 -0.3900
C -0.92006 5.12970 1.05117 -0.09 -0.08 0.08 -0.0477
C -2.13468 6.00151 0.83601 -0.47 0.26 -0.34 0.3303
C -3.34782 5.52869 1.61962 0.00 0.08 -0.28 -1.5393
N -2.45518 6.18099 -0.57877 -0.02 0.38 -0.05 -0.6997
H 1.29774 4.11659 1.03044 -0.22 -0.10 -0.26 0.0966
H 2.19222 5.58224 1.27713 -0.29 0.16 0.05 0.3070
H 1.82417 5.14347 -0.35864 -0.27 -0.26 -0.11 0.1459
H -1.00947 4.26506 0.37824 0.06 -0.13 0.12 0.0148
H -0.86101 4.76842 2.08807 0.08 0.03 -0.03 0.3347
H -1.91897 7.01940 1.17186 0.30 -0.12 0.27 0.3025
H -3.72560 4.57127 1.25262 0.09 -0.07 0.08 0.3230
H -4.14027 6.26406 1.48534 -0.06 -0.06 0.10 0.3869
H -3.09700 5.44893 2.67663 -0.13 -0.08 0.04 0.3874
H -1.65361 6.59579 -1.03849 -0.07 -0.08 -0.16 0.2661
H -2.69636 5.33405 -1.07864 0.09 -0.16 0.19 0.2397
C -0.83892 -3.69852 -2.21553 -0.42 0.10 -0.39 -0.4774
O 0.34110 -4.28334 -1.74836 0.33 -0.25 0.02 -0.4123
C 0.78803 -3.75335 -0.51664 -0.21 0.59 0.01 0.1160
C 2.28287 -3.45463 -0.57337 0.04 -0.47 0.03 0.5309
C 3.08728 -4.69727 -0.25314 -0.26 -1.06 0.01 -1.6296
N 2.55595 -2.38717 0.38448 0.32 0.24 0.13 -0.4043
H -1.61277 -3.67610 -1.44019 -0.02 0.04 -0.06 0.2104
H -1.20172 -4.28826 -3.05912 0.02 -0.12 0.14 0.3246
H -0.68175 -2.68156 -2.60776 0.09 0.02 0.28 0.1014
H 0.27957 -2.80054 -0.30700 -0.08 -0.12 -0.04 -0.3084
H 0.54147 -4.43881 0.30176 0.08 0.00 0.03 0.2016
H 2.50569 -3.18307 -1.61318 -0.03 0.22 0.07 0.2681
H 2.68135 -5.53882 -0.82925 0.22 0.26 -0.34 0.4052
H 2.94930 -5.07413 0.76651 0.10 0.61 0.18 0.3205
H 4.15162 -4.61707 -0.47469 0.00 0.13 0.03 0.3951
H 2.18468 -1.50253 0.05566 0.00 0.03 -0.08 -0.0990
H 3.55092 -2.24368 0.52467 0.03 -0.09 -0.21 0.2618
C -4.00409 -6.03073 2.84333 -0.16 -0.64 -0.01 -0.7806
O -3.78782 -4.82660 2.17040 -0.19 0.30 0.13 -0.3092
C -2.74124 -4.05328 2.71363 0.80 -0.63 -0.22 -0.7526
C -2.66686 -2.75582 1.94610 -0.30 1.03 -0.50 1.2281
C -1.54170 -1.87194 2.43256 0.71 -0.17 0.65 -1.2211
N -3.93573 -2.01771 1.86950 -0.04 -0.23 0.08 -0.7668
H -3.09484 -6.64282 2.92427 0.06 0.18 -0.01 0.3037
H -4.72288 -6.60292 2.25458 -0.02 0.06 0.06 0.2593
H -4.41667 -5.89808 3.85135 0.07 0.17 -0.02 0.3060
H -2.81869 -3.91474 3.80224 -0.43 0.19 -0.06 0.3646
H -1.79812 -4.61171 2.57249 -0.02 0.15 0.02 0.3059
H -2.42973 -2.97003 0.89746 -0.03 -0.38 0.08 -0.3136
H -1.37637 -0.96945 1.84825 -0.29 -0.12 -0.31 0.1718
H -0.61369 -2.45572 2.41250 0.03 0.17 0.04 0.1483
H -1.65801 -1.53047 3.46881 -0.23 -0.17 -0.02 0.4959
H -4.24634 -1.70723 2.78533 0.16 -0.01 0.06 0.2658
H -4.64269 -2.67048 1.54595 -0.07 0.10 0.00 0.2978
C 2.61418 0.33141 -4.99528 0.71 0.64 0.45 -1.0179
C 1.16460 0.40760 -5.33498 -0.69 -0.24 0.40 -0.1570
That’s what I think. We await a charismatic politician who can unite the disparate factions on the Right behind a positive program. Is Ron DeSantis that man? Is J.D. Vance? The fact is, all the theorizing on the Right, in our magazines, at conferences, and within intellectual circles, isn’t going to matter if we can’t get people elected who are willing and capable of doing things.
In the end, though, culture very much remains in the hands of the Left. There’s not a lot politics can do to change that, except for work to keep publicly subsidized institutions open to a wide variety of voices, not just officially left-wing approved ones. I wonder what this means in light of Auron MacIntyre’s powerful short essay about how anyone on the Right who comes to power must clean out the left-wing permanent bureaucracy. Excerpts:
To be credentialed as an ‘expert’ today, and thus qualify to work within the bureaucracy, you must attend university. The more prestigious, and most likely progressive, the university you obtain your degree from, the higher you are likely to climb in the deep state. What this means is that every boss and coworker who a bureaucrat needs to interact with and impress to climb the ladder was required in his or her formative years to absorb the morality of increasingly radical college professors. In other words, it is in the nature of the deep state to select those who constantly signal the virtues of the woke institution, which will one day inevitably go on to inform all of their day-to-day policy decisions.
Whenever the Left consolidates power and creates a new agency, it is immediately staffed with diehard progressive bureaucrats. In many cases, it is literally required by law that experts be placed in key positions of authority, who are all but guaranteed to be leftwing zealots. And the vast majority of this staff does not rotate out or get laid off when a Republican administration or legislature comes to power. Protected by their status as credentialed experts, the ideological foot soldiers of the bureaucracy stay firmly entrenched in the deep state. That’s why things always seem to sprint left when progressives are in charge and at best grind to a halt when the GOP has its turn at the wheel.
The idea that the Left will pay a cost for centralizing more government power once Republicans return to the driver’s seat, is a myth. The battle the Right is fighting both culturally and politically is an asymmetrical one. Until we understand that, we are destined to keep standing bewildered as the losses for our side continue to pile up. Yes, Republicans have become a lot more optimistic lately about their prospects in upcoming elections. Approval numbers for Joe Biden have cratered, and so many on the Right expect a significant electoral backlash due to the horrific job done by Democrat Party since 2020. But any future leader on the Right who is serious about fixing our problems must start by aiming to dismantle the administrative state, clear out the entrenched bureaucracy, and return power back to an executive who can actually govern the country. Anyone who isn’t planning to do that is only wasting our time.
Yep. Read it all.
I’m not interested in a conservative government that exists only to slow down what the Left wants to do. I’ll vote for it in despair, but without enthusiasm. I also don’t want a Trump restoration if that means little more than tweets, shitposting, and lib-owning, while the Left moves from strength to strength. Bauerlein is right, I think, in that the Left, broadly speaking, doesn’t want to interrogate itself, and that’s why it keeps winning culturally. But this will prove to be a weakness should the public actually elect a government of the Right that actually means to use the power the people give it to change things, as opposed simply to nominally opposing whatever the Left wants next. This is why it’s important for us on the Right to argue among ourselves now, and figure out a program, and a politician, that we can get behind. Me, I have an idea of what I think conservatism should be, but the Trump years, including the Great Awokening and also the effect Trump’s presidency had on shaping the Supreme Court and the federal judiciary, compelled me to realize that I can’t let the ideal be the enemy of the necessary.